Current immunotherapies only benefit a minority of cancer patients; therefore, new approaches aiming to boost patients’ anti-tumor immune responses is urgently needed. In this work, we formulated a nanovaccine that selectively delivers tumor antigens and adjuvant to human CD169/Siglec-1+ antigen-presenting cells (APCs), leading to a robust CD8+ T cell response.

Despite the major breakthrough of immune-checkpoint inhibitors, only a limited number of patients respond to this treatment. Patients with pancreatic cancer, for example, failed to respond to these therapies. Since the abundance of intra-tumoral CD8+ T cells predict a better prognosis, these patients may benefit from an enhanced anti-tumor immunity.

The page is interrupted by materials data.
-- begin --
## Ac2AgIr (PBE)

Data for a relaxed structure of Ac2AgIr.

a b c (Å): 5.3978 5.3978 5.3978
angles (deg): 60.00 60.00 60.00
Last column: nearest neighbours and their distance in Å.
Fractional positions:
Ag 0.5000 0.5000 0.5000  8 Ac 3.31
Ir 0.0000 0.0000 0.0000  8 Ac 3.31
Ac 0.2500 0.2500 0.2500  4 Ir 3.31, 4 Ag 3.31
Ac 0.7500 0.7500 0.7500  4 Ir 3.31, 4 Ag 3.31

Calculated values
Spin magnetization ... 0.000 μB per atom
Energy relative to the elements ... -1.4 eV/f.u.
Electronic total energy ... -21.37 eV/cell
Crystal system ... cubic
Space group ... Fm-3m (225)
Relative energy among the computed polymorphs ... 126.1 meV/atom

=====

Entry 1:
This record from Alexandria describes a geometry-optimized Pr5Nd2Tm structure. The functional is PBE-GGA.

Cell and atoms, written as POSCAR:
```
Pr5Nd2Tm
1.0
7.3388 0.0000 0.0000
0.0000 14.7362 0.0000
0.0000 0.0000 5.1980
Pr Nd Tm
10 4 2
Cartesian
0.0000 0.0000 0.0000
0.0020 3.7126 0.0000
7.3368 11.0236 0.0000
1.8265 5.5474 2.5990
1.8429 12.9156 2.5990
3.6714 3.6555 0.0000
3.6694 7.3681 0.0000
3.6674 11.0807 0.0000
5.4959 1.8207 2.5990
5.5123 9.1888 2.5990
1.8242 9.1864 2.5990
1.8452 1.8183 2.5990
5.4936 12.9179 2.5990
5.5146 5.5498 2.5990
0.0000 7.3681 0.0000
3.6694 0.0000 0.0000
```

The formation energy comes out at 0.014 eV per atom. For the density of states at the Fermi level, the calculation gives 23.6 states/eV/cell. For the calculated density, the calculation gives 6.9 g/cm3. The value obtained for the calculated volume is 35.134 A^3/atom. For the total energy, the calculation gives -37.79 eV per formula unit. The offset from the most stable computed form comes out at 0.000 eV per atom.

Entry 2:
This record from Alexandria describes a geometry-optimized Pr16Nd6Tm7 structure. The functional is PBE-GGA.

Cell and atoms, written as POSCAR:
```
Pr16Nd6Tm7
1.0
0.0000 8.0232 8.0232
8.0232 0.0000 8.0232
8.0232 8.0232 0.0000
Pr Nd Tm
16 6 7
Cartesian
10.4900 5.5564 5.5564
1.9451 1.9451 1.9451
6.0781 6.0781 1.9451
6.0781 1.9451 6.0781
5.5564 5.5564 5.5564
10.4900 10.4900 5.5564
10.4900 5.5564 10.4900
14.1013 9.9683 9.9683
1.9451 6.0781 6.0781
5.5564 10.4900 5.5564
5.5564 5.5564 10.4900
10.4900 10.4900 10.4900
9.9683 14.1013 9.9683
9.9683 9.9683 14.1013
14.1013 14.1013 14.1013
5.5564 10.4900 10.4900
8.0232 8.0232 4.7334
8.0232 4.7334 8.0232
11.3129 8.0232 8.0232
4.7334 8.0232 8.0232
8.0232 11.3129 8.0232
8.0232 8.0232 11.3129
0.0000 0.0000 0.0000
4.0116 4.0116 0.0000
4.0116 0.0000 4.0116
8.0232 4.0116 4.0116
0.0000 4.0116 4.0116
4.0116 8.0232 4.0116
4.0116 4.0116 8.0232
```

The formation energy comes out at 0.193 eV per atom. For the density of states at the Fermi level, the calculation gives 54.4 states/eV/cell. For the calculated density, the calculation gives 6.9 g/cm3. The value obtained for the calculated volume is 35.618 A^3/atom. For the total energy, the calculation gives -130.79 eV per formula unit.

Entry 3:
-- stop --

Priming of CD8+ T cells by dendritic cells (DC) is crucial for the generation of effective anti-tumor immune responses. Since generating DC ex vivo is a laborious process, research is shifting towards targeting tumor antigens to naturally occurring DCs in vivo. In this study, we developed a liposomal vaccine carrier that delivers tumor antigens to human CD169/Siglec-1+ antigen-presenting cells using gangliosides as endogenous CD169-targeting ligands.

These crystal structures were left in the page by mistake:
┌──
[1]
Computed, not measured: a geometry-optimized ReAg2Hg structure at the PBE-GGA level of DFT.

a = 5.7610 Å, b = 9.0577 Å, c = 2.7113 Å
α = 90.00°, β = 90.00°, γ = 90.00°
Space group Cmmm (No. 65)
Asymmetric unit:
1 Re 0.0000 0.0000 0.0000 (multiplicity 2)
2 Ag 0.2500 0.2500 0.5000 (multiplicity 4)
3 Hg 0.0000 0.5000 0.0000 (multiplicity 2)

- DOS(E_F): 3.16 states/eV/cell
- Formation enthalpy at 0 K: 0.64 eV per atom
- ρ: 14.1 g/cm³
- Magnetic moment: 0.0 Bohr magnetons per cell



[2]
Computed, not measured: a geometry-optimized Hg8Mo structure at the PBE-GGA level of DFT.

a = 9.9660 Å, b = 9.9660 Å, c = 4.2390 Å
α = 90.00°, β = 90.00°, γ = 90.00°
Space group I4/mmm (No. 139)
Asymmetric unit:
1 Hg 0.0000 0.3295 0.0000 (multiplicity 8)
2 Hg 0.1606 0.1606 0.5000 (multiplicity 8)
3 Mo 0.0000 0.0000 0.0000 (multiplicity 2)

- DOS(E_F): 9.14 states/eV/cell
- Formation enthalpy at 0 K: 0.37 eV per atom
- ρ: 13.4 g/cm³
- Magnetic moment: 6.6 Bohr magnetons per cell



[3]
Computed, not measured: a geometry-optimized Nb2NiMo structure at the PBE-GGA level of DFT.

a = 3.2443 Å, b = 3.2443 Å, c = 6.0388 Å
α = 90.00°, β = 90.00°, γ = 90.00°
Space group P4/mmm (No. 123)
Asymmetric unit:
1 Nb 0.0000 0.0000 0.2456 (multiplicity 2)
2 Ni 0.5000 0.5000 0.0000 (multiplicity 1)
3 Mo 0.5000 0.5000 0.5000 (multiplicity 1)

- DOS(E_F): 4.52 states/eV/cell
- Formation enthalpy at 0 K: -0.10 eV per atom
- ρ: 8.9 g/cm³
- Magnetic moment: 0.0 Bohr magnetons per cell



[4]
Computed, not measured: a geometry-optimized CaGe2Pd2 structure at the PBE-GGA level of DFT.

a = 4.3965 Å, b = 4.3965 Å, c = 10.3444 Å
α = 90.00°, β = 90.00°, γ = 90.00°
Space group I4/mmm (No. 139)
Asymmetric unit:
1 Ca 0.0000 0.0000 0.0000 (multiplicity 2)
2 Ge 0.0000 0.5000 0.2500 (multiplicity 4)
3 Pd 0.0000 0.0000 0.3696 (multiplicity 4)

- DOS(E_F): 4.39 states/eV/cell
- Formation enthalpy at 0 K: -0.57 eV per atom
- ρ: 6.6 g/cm³
- Magnetic moment: 0.0 Bohr magnetons per cell



[5]
Computed, not measured: a geometry-optimized Sc2CdPb2 structure at the PBE-GGA level of DFT.

a = 5.5959 Å, b = 5.5959 Å, c = 9.6804 Å
α = 90.00°, β = 90.00°, γ = 90.00°
Space group I4/mmm (No. 139)
Asymmetric unit:
1 Sc 0.0000 0.5000 0.2500 (multiplicity 4)
2 Cd 0.0000 0.0000 0.0000 (multiplicity 2)
3 Pb 0.0000 0.0000 0.3369 (multiplicity 4)

- Relative energy among the computed polymorphs: 256.3 meV per atom
- DOS(E_F): 4.73 states/eV/cell
- Formation enthalpy at 0 K: 0.08 eV per atom
- ρ: 6.8 g/cm³
- Magnetic moment: 0.0 Bohr magnetons per cell



[6]
Computed, not measured: a geometry-optimized SrBeSCl2 structure at the PBE-GGA level of DFT.

a = 4.6177 Å, b = 4.6177 Å, c = 4.6583 Å
α = 90.00°, β = 90.00°, γ = 90.00°
Space group P4/mmm (No. 123)
Asymmetric unit:
1 Sr 0.0000 0.0000 0.0000 (multiplicity 1)
2 Be 0.5000 0.5000 0.5000 (multiplicity 1)
3 S 0.5000 0.5000 0.0000 (multiplicity 1)
4 Cl 0.0000 0.5000 0.5000 (multiplicity 2)

- Relative energy among the computed polymorphs: 0.0 meV per atom
└──
Here the page continues:

We observed that ganglioside-liposomes specifically bound to CD169 and were internalized by in vitro generated monocyte-derived DCs (moDCs) and macrophages, and by ex vivo isolated splenic macrophages in a CD169-dependent manner. In blood, unsupervised high-dimensional reduction analysis revealed that ganglioside-liposomes specifically targeted CD14+ CD169+ monocytes and Axl+ CD169+ DCs, a recently discovered DC subset. Liposomal co-delivery of tumor antigen and toll-like receptor ligand to CD169+ moDCs and Axl+ DCs led to cytokine production and robust cross-presentation and activation of tumor antigen-specific CD8+ T cells. Finally, we showed that Axl+ DCs were present in patients with gastrointestinal malignancies, pancreatic ductal adenocarcinoma, hepatocellular carcinoma, colorectal liver metastasis, and melanoma, and that they efficiently captured ganglioside-liposomes.

Our findings demonstrate a novel nanovaccine platform targeting CD169+ DC that can drive anti-tumor CD8+ T cell responses.

Researchers involved

[Crystal structures from another source follow]
____________
No. 1
Computed, not measured: a relaxed structure of TmThNi at the GGA-PBE level of DFT.

Cell lengths 3.759, 3.759, 6.320 Å; angles 90.00, 90.00, 120.00 degrees
Fractional positions:
Th 0.000 0.000 0.068
Ni 0.667 0.333 0.333
Tm 0.333 0.667 0.599

Properties
Calculated formation energy = -0.15 eV per atom
Density of states at the Fermi level = 1.055 states/eV per atom
Space group = No. 156


No. 2
Computed, not measured: a relaxed structure of Dy7TlSe5 at the GGA-PBE level of DFT.

Cell lengths 4.058, 7.040, 24.299 Å; angles 89.99, 90.00, 106.75 degrees
Fractional positions:
Dy 0.094 0.188 0.614
Dy 0.639 0.278 0.464
Se 0.452 0.904 0.640
Dy 0.906 0.812 0.114
Se 0.726 0.451 0.572
Se 0.275 0.550 0.428
Se 0.548 0.097 0.140
Se 0.275 0.550 0.072
Dy 0.182 0.365 0.323
Dy 0.094 0.189 0.886
Dy 0.483 0.966 0.250
Se 0.000 0.001 0.500
Dy 0.362 0.724 0.964
Dy 0.818 0.636 0.677
Se 0.549 0.097 0.360
Se 0.726 0.451 0.928
Dy 0.362 0.723 0.536
Tl 0.193 0.386 0.750
Dy 0.818 0.637 0.823
Se 0.000 0.000 0.000
Dy 0.518 0.035 0.750
Dy 0.906 0.813 0.386
Se 0.452 0.904 0.860
Dy 0.182 0.364 0.177
Dy 0.639 0.277 0.036
Tl 0.808 0.616 0.250

Properties
Raw formation energy = -1.424 eV per atom
Density of states at the Fermi level = 0.585 states/eV per atom
Space group = No. 63


No. 3
Computed, not measured: a relaxed structure of CaTmAlPb at the GGA-PBE level of DFT.

Cell lengths 5.313, 5.313, 5.313 Å; angles 60.00, 60.00, 60.00 degrees
Fractional positions:
____________

Alsya J. Affandi1, Joanna Grabowska1, Katarzyna Olesek1, Miguel Lopez Venegas1, Arnaud Barbaria1, Ernesto Rodríguez1, Patrick P.G. Mulder1, Helen J. Pijffers1, Martino Ambrosini1, Hakan Kalay1, Tom O’Toole1, Eline S. Zwart1,2, Geert Kazemier2, Kamran Nazmi3, Floris J. Bikker3, Alfons J.M. van den Eertwegh4, Tanja D. de Gruijl4, Yvette van Kooyk1, Joke M.M. den Haan*1

1Department of Molecular Cell Biology and Immunology, Cancer Center Amsterdam, Amsterdam Infection and Immunity Institute, Amsterdam UMC, Vrije Universiteit Amsterdam, Amsterdam, Netherlands.

2Department of Surgery, Cancer Center Amsterdam, Amsterdam UMC, Vrije Universiteit Amsterdam, Amsterdam, The Netherlands.

3Department of Oral Biochemistry, Academic Centre for Dentistry Amsterdam (ACTA), Vrije Universiteit Amsterdam and University of Amsterdam, Amsterdam, The Netherlands. 

4Department of Medical Oncology, Cancer Center Amsterdam, Amsterdam UMC, Vrije Universiteit Amsterdam, Amsterdam, Netherlands.